Contents =
# DyP3O9 GGA-PBE optimized geometry
data_DyP3O9
_chemical_formula_sum 'Dy4 P12 O36'
_symmetry_space_group_name_H-M 'C 1 c 1'
_symmetry_Int_Tables_number 9
_symmetry_space_group_name_Hall 'C -2yc'
_cell_length_a 14.444
_cell_length_b 6.918
_cell_length_c 10.264
_cell_angle_alpha 90.00
_cell_angle_beta 126.98
_cell_angle_gamma 90.00
loop_
_atom_site_label
_atom_site_fract_x
_atom_site_fract_y
_atom_site_fract_z
Dy1 0.000 0.241 0.000
P1 0.160 0.101 0.841
P2 0.245 0.420 0.733
P3 0.354 0.101 0.667
O1 0.073 0.147 0.871
O2 0.121 0.025 0.198
O3 0.140 0.464 0.109
O4 0.214 0.300 0.836
O5 0.262 0.263 0.635
O6 0.276 0.017 0.001
O7 0.356 0.475 0.353
O8 0.389 0.024 0.309
O9 0.448 0.192 0.664
# ΔE to the lowest computed polymorph ... 8 meV/atom
# Formation enthalpy at 0 K ... -291 kJ/mol of atoms
# Crystal system ... monoclinic

----------

A plane-wave DFT calculation with PBE was carried out for crystalline Ga3NO3 at its relaxed geometry.

Cell and atoms, written as CIF:
```
data_Ga3NO3
_chemical_formula_sum 'Ga12 N4 O12'
_cell_length_a 5.954
_cell_length_b 5.954
_cell_length_c 10.354
_cell_angle_alpha 107.04
_cell_angle_beta 107.04
_cell_angle_gamma 59.59
_symmetry_space_group_name_H-M 'P 1'
_symmetry_Int_Tables_number 1
_symmetry_space_group_name_Hall 'P 1'
loop_
_atom_site_label
_atom_site_fract_x
_atom_site_fract_y
_atom_site_fract_z
Ga1 0.000 0.000 0.000
Ga2 0.000 0.500 0.000
Ga3 0.000 0.500 0.500
Ga4 0.051 0.051 0.696
Ga5 0.249 0.249 0.256
Ga6 0.439 0.439 0.809
Ga7 0.500 0.000 0.000
Ga8 0.500 0.000 0.500
Ga9 0.500 0.500 0.500
Ga10 0.561 0.561 0.191
Ga11 0.751 0.751 0.744
Ga12 0.949 0.949 0.304
N1 0.131 0.131 0.897
N2 0.147 0.147 0.385
N3 0.853 0.853 0.615
N4 0.869 0.869 0.103
O1 0.114 0.626 0.873
O2 0.141 0.616 0.377
O3 0.366 0.366 0.130
O4 0.374 0.886 0.127
O5 0.376 0.376 0.616
O6 0.384 0.859 0.623
O7 0.616 0.141 0.377
O8 0.624 0.624 0.384
O9 0.626 0.114 0.873
O10 0.634 0.634 0.870
O11 0.859 0.384 0.623
O12 0.886 0.374 0.127
```

Density   6.04 Mg/m³
Polymorph energy (0 for the lowest one)   0.0159 eV per atom
Energy of formation   -1.698 eV per atom

----------

# Li2Co3TeO8

Li2Co3TeO8 after structural relaxation (PBE+U, the Materials Project).

Its space group is P-1, No. 2. The value obtained for the size of the total moment is 9.0 μB per cell. The energy above the most stable polymorph in this dataset comes out at 0.0 meV per atom. The formation energy comes out at -1.56 eV per atom. For the calculated total energy, the calculation gives -5.67 eV/atom.

abc: 5.9741 6.0259 6.0337
angles: 91.70 118.60 119.02
Last column: nearest neighbours and their distance in Å.
Fractional positions:
Li: 0.5000 0.0000 0.5000  6 O 2.21-2.28
Li: 0.5000 0.5000 0.5000  6 O 2.10-2.24
Co: 0.0000 0.5000 0.0000  4 O 1.89-1.99
Co: 0.5000 0.0000 0.0000  6 O 2.10-2.13
Co: 0.5000 0.5000 0.0000  6 O 1.96-2.14
Te: 0.0000 0.0000 0.0000  6 O 1.93-1.98
O: 0.4377 0.7063 0.1935  2 Co 1.89-1.96
O: 0.0137 0.7740 0.7798  1 Te 1.93, 2 Co 2.10-2.15
O: 0.0088 0.2474 0.7897  1 Te 1.98, 2 Co 1.99-2.13, 1 Li 2.21
O: 0.5444 0.7666 0.7741  1 Te 1.97, 1 Li 2.10, 2 Co 2.12-2.14
O: 0.4556 0.2334 0.2259  1 Te 1.97, 1 Li 2.10, 2 Co 2.12-2.14
O: 0.9912 0.7526 0.2103  1 Te 1.98, 2 Co 1.99-2.13, 1 Li 2.21
O: 0.9863 0.2260 0.2202  1 Te 1.93, 2 Co 2.10-2.15
O: 0.5623 0.2937 0.8065  2 Co 1.89-1.96

=====

# Li2VO2F2

Li2VO2F2 after structural relaxation (PBE+U, the Materials Project).

Its space group is P1, No. 1. The value obtained for the size of the total moment is 4.0 μB per cell. The energy above the most stable polymorph in this dataset comes out at 24.0 meV per atom. The formation energy comes out at -2.81 eV per atom. For the calculated total energy, the calculation gives -6.05 eV/atom.

abc: 5.7623 10.2623 5.9656
angles: 89.42 61.07 73.77
Last column: nearest neighbours and their distance in Å.
Fractional positions:
Li: 0.1281 0.5605 0.1813  2 F 1.95, 2 O 1.99
Li: 0.1300 0.0605 0.6814  2 F 1.95, 2 O 1.99
Li: 0.8697 0.4395 0.8187  2 F 1.95, 2 O 1.99
Work order =
Copy the rows further above from the first line to the one with "118.60 119.02" exactly.
Solution =
# DyP3O9 GGA-PBE optimized geometry
data_DyP3O9
_chemical_formula_sum 'Dy4 P12 O36'
_symmetry_space_group_name_H-M 'C 1 c 1'
_symmetry_Int_Tables_number 9
_symmetry_space_group_name_Hall 'C -2yc'
_cell_length_a 14.444
_cell_length_b 6.918
_cell_length_c 10.264
_cell_angle_alpha 90.00
_cell_angle_beta 126.98
_cell_angle_gamma 90.00
loop_
_atom_site_label
_atom_site_fract_x
_atom_site_fract_y
_atom_site_fract_z
Dy1 0.000 0.241 0.000
P1 0.160 0.101 0.841
P2 0.245 0.420 0.733
P3 0.354 0.101 0.667
O1 0.073 0.147 0.871
O2 0.121 0.025 0.198
O3 0.140 0.464 0.109
O4 0.214 0.300 0.836
O5 0.262 0.263 0.635
O6 0.276 0.017 0.001
O7 0.356 0.475 0.353
O8 0.389 0.024 0.309
O9 0.448 0.192 0.664
# ΔE to the lowest computed polymorph ... 8 meV/atom
# Formation enthalpy at 0 K ... -291 kJ/mol of atoms
# Crystal system ... monoclinic

----------

A plane-wave DFT calculation with PBE was carried out for crystalline Ga3NO3 at its relaxed geometry.

Cell and atoms, written as CIF:
```
data_Ga3NO3
_chemical_formula_sum 'Ga12 N4 O12'
_cell_length_a 5.954
_cell_length_b 5.954
_cell_length_c 10.354
_cell_angle_alpha 107.04
_cell_angle_beta 107.04
_cell_angle_gamma 59.59
_symmetry_space_group_name_H-M 'P 1'
_symmetry_Int_Tables_number 1
_symmetry_space_group_name_Hall 'P 1'
loop_
_atom_site_label
_atom_site_fract_x
_atom_site_fract_y
_atom_site_fract_z
Ga1 0.000 0.000 0.000
Ga2 0.000 0.500 0.000
Ga3 0.000 0.500 0.500
Ga4 0.051 0.051 0.696
Ga5 0.249 0.249 0.256
Ga6 0.439 0.439 0.809
Ga7 0.500 0.000 0.000
Ga8 0.500 0.000 0.500
Ga9 0.500 0.500 0.500
Ga10 0.561 0.561 0.191
Ga11 0.751 0.751 0.744
Ga12 0.949 0.949 0.304
N1 0.131 0.131 0.897
N2 0.147 0.147 0.385
N3 0.853 0.853 0.615
N4 0.869 0.869 0.103
O1 0.114 0.626 0.873
O2 0.141 0.616 0.377
O3 0.366 0.366 0.130
O4 0.374 0.886 0.127
O5 0.376 0.376 0.616
O6 0.384 0.859 0.623
O7 0.616 0.141 0.377
O8 0.624 0.624 0.384
O9 0.626 0.114 0.873
O10 0.634 0.634 0.870
O11 0.859 0.384 0.623
O12 0.886 0.374 0.127
```

Density   6.04 Mg/m³
Polymorph energy (0 for the lowest one)   0.0159 eV per atom
Energy of formation   -1.698 eV per atom

----------

# Li2Co3TeO8

Li2Co3TeO8 after structural relaxation (PBE+U, the Materials Project).

Its space group is P-1, No. 2. The value obtained for the size of the total moment is 9.0 μB per cell. The energy above the most stable polymorph in this dataset comes out at 0.0 meV per atom. The formation energy comes out at -1.56 eV per atom. For the calculated total energy, the calculation gives -5.67 eV/atom.

abc: 5.9741 6.0259 6.0337
angles: 91.70 118.60 119.02